• What to do:
Your job: give back the whole of the calculation results underneath without additions.

• Entries:
# 1
16
Lattice="6.2740 0.0000 0.0000 0.0000 6.2740 0.0000 0.0000 0.0000 6.2740" Properties=species:S:1:pos:R:3 comment="LuBeNiAs, relaxed, DFT PBE" relative_energy_ev_per_atom=0.000 sg="F-43m (216)" e_tot_ry_per_atom=-0.35003 pbc="T T T"
Lu 0.0000 0.0000 0.0000
Lu 0.0000 3.1370 3.1370
Lu 3.1370 0.0000 3.1370
Lu 3.1370 3.1370 0.0000
Be 1.5685 1.5685 4.7055
Be 1.5685 4.7055 1.5685
Be 4.7055 1.5685 1.5685
Be 4.7055 4.7055 4.7055
Ni 0.0000 0.0000 3.1370
Ni 0.0000 3.1370 0.0000
Ni 3.1370 0.0000 0.0000
Ni 3.1370 3.1370 3.1370
As 1.5685 1.5685 1.5685
As 1.5685 4.7055 4.7055
As 4.7055 1.5685 4.7055
As 4.7055 4.7055 1.5685



# 2
6
Lattice="6.4105 0.0000 0.0000 -3.2052 5.5516 0.0000 0.0000 0.0000 5.6968" Properties=species:S:1:pos:R:3 comment="Pm3Er2In, relaxed, DFT PBE" sg="P6/mmm (191)" e_tot_ry_per_atom=-0.29101 pbc="T T T"
Pm -1.6026 2.7758 0.0000
Pm 3.2052 0.0000 0.0000
Pm 1.6026 2.7758 0.0000
Er 0.0000 3.7011 2.8484
Er 3.2052 1.8505 2.8484
In 0.0000 0.0000 2.8484



# 3
9
Lattice="4.2936 0.0000 0.0000 0.0000 6.3243 3.6571 0.0000 -6.3243 3.6571" Properties=species:S:1:pos:R:3 comment="Tb2DyAl3CuSn2, relaxed, DFT PBE" sg="Amm2 (38)" e_tot_ry_per_atom=-0.34157 pbc="T T T"
Tb 0.0000 -3.8737 3.6571
Tb 0.0000 3.8737 3.6571
Dy 0.0000 0.0000 4.2498
Al 2.1468 -1.4074 2.2332
Al 2.1468 1.4074 2.2332
Al 2.1468 0.0000 7.1090
Cu 0.0000 0.0000 1.4285
Sn 2.1468 -2.1013 5.0740
Sn 2.1468 2.1013 5.0740



# 4
24
Lattice="9.9704 0.0000 0.0000 0.0000 3.7506 0.0000 0.0000 0.0000 12.8527" Properties=species:S:1:pos:R:3 comment="Lu2AgS3, relaxed, DFT PBE" relative_energy_ev_per_atom=0.047 sg="Pnma (62)" e_tot_ry_per_atom=-0.39538 pbc="T T T"
Lu 0.2286 0.9377 3.1698
Lu 2.1728 2.8130 6.7516
Lu 2.8124 0.9377 0.3252
Lu 4.7566 2.8130 9.5962
Lu 5.2138 0.9377 3.2566
Lu 7.1580 2.8130 12.5275
Lu 7.7976 0.9377 6.1011
Lu 9.7418 2.8130 9.6829
Ag 2.2690 0.9377 9.4910
Ag 2.7162 2.8130 3.0646
Ag 7.2542 0.9377 9.7881
Ag 7.7014 2.8130 3.3617
S 0.3796 0.9377 7.7731
S 0.9281 2.8130 1.3432
S 2.3552 2.8130 11.2023
S 2.6300 0.9377 4.7760
S 4.0571 0.9377 7.7695
S 4.6056 2.8130 1.3468
S 5.3648 0.9377 11.5059
S 5.9133 2.8130 5.0832
S 7.3404 2.8130 8.0767
S 7.6152 0.9377 1.6504
S 9.0423 0.9377 11.5095
S 9.5908 2.8130 5.0796

~~~~~

First-principles (PBEsol) data for a geometry-optimized CeCd structure, as listed in the Alexandria database.

a = 3.9847 Å, b = 3.9847 Å, c = 3.2690 Å
α = 90.00°, β = 90.00°, γ = 90.00°
Element x y z (fractional)
Ce1 0.0000 0.0000 0.0000
Cd1 0.5000 0.5000 0.5000

SG = P4/mmm
crystal system = tetragonal
formation enthalpy at 0 K = -0.0412 eV per atom



First-principles (PBEsol) data for a geometry-optimized MgZrHgTe2 structure, as listed in the Alexandria database.

a = 5.4107 Å, b = 5.4107 Å, c = 4.9007 Å
α = 90.00°, β = 90.00°, γ = 90.00°
Element x y z (fractional)
Mg1 0.0000 0.0000 0.0000
Zr1 0.5000 0.5000 0.5000
Hg1 0.0000 0.0000 0.5000
Te1 0.0000 0.5000 0.0000
Te2 0.5000 0.0000 0.0000

SG = P4/mmm
formation energy from raw total energies = 1.7 eV/f.u.
crystal system = tetragonal



First-principles (PBEsol) data for a geometry-optimized TaCrIn2S structure, as listed in the Alexandria database.

a = 5.0382 Å, b = 5.0382 Å, c = 4.0586 Å
α = 90.00°, β = 90.00°, γ = 90.00°
Element x y z (fractional)
Ta1 0.0000 0.0000 0.0000
Cr1 0.5000 0.5000 0.0000
In1 0.0000 0.5000 0.5000
In2 0.5000 0.0000 0.5000
S1 0.5000 0.5000 0.5000

SG = P4/mmm
formation energy from raw total energies = 4.5 eV/f.u.
crystal system = tetragonal



First-principles (PBEsol) data for a geometry-optimized YCu4Pt structure, as listed in the Alexandria database.

a = 4.9089 Å, b = 4.9089 Å, c = 4.9089 Å
α = 60.00°, β = 60.00°, γ = 60.00°
Element x y z (fractional)
Y1 0.0000 0.0000 0.0000
Cu1 0.3759 0.3759 0.3759
Cu2 0.3759 0.3759 0.8724
Cu3 0.3759 0.8724 0.3759
Cu4 0.8724 0.3759 0.3759
Pt1 0.7500 0.7500 0.7500

SG = F-43m
crystal system = cubic
formation enthalpy at 0 K = -0.3975 eV per atom

~~~~~

• Worked solution:
# 1
16
Lattice="6.2740 0.0000 0.0000 0.0000 6.2740 0.0000 0.0000 0.0000 6.2740" Properties=species:S:1:pos:R:3 comment="LuBeNiAs, relaxed, DFT PBE" relative_energy_ev_per_atom=0.000 sg="F-43m (216)" e_tot_ry_per_atom=-0.35003 pbc="T T T"
Lu 0.0000 0.0000 0.0000
Lu 0.0000 3.1370 3.1370
Lu 3.1370 0.0000 3.1370
Lu 3.1370 3.1370 0.0000
Be 1.5685 1.5685 4.7055
Be 1.5685 4.7055 1.5685
Be 4.7055 1.5685 1.5685
Be 4.7055 4.7055 4.7055
Ni 0.0000 0.0000 3.1370
Ni 0.0000 3.1370 0.0000
Ni 3.1370 0.0000 0.0000
Ni 3.1370 3.1370 3.1370
As 1.5685 1.5685 1.5685
As 1.5685 4.7055 4.7055
As 4.7055 1.5685 4.7055
As 4.7055 4.7055 1.5685



# 2
6
Lattice="6.4105 0.0000 0.0000 -3.2052 5.5516 0.0000 0.0000 0.0000 5.6968" Properties=species:S:1:pos:R:3 comment="Pm3Er2In, relaxed, DFT PBE" sg="P6/mmm (191)" e_tot_ry_per_atom=-0.29101 pbc="T T T"
Pm -1.6026 2.7758 0.0000
Pm 3.2052 0.0000 0.0000
Pm 1.6026 2.7758 0.0000
Er 0.0000 3.7011 2.8484
Er 3.2052 1.8505 2.8484
In 0.0000 0.0000 2.8484



# 3
9
Lattice="4.2936 0.0000 0.0000 0.0000 6.3243 3.6571 0.0000 -6.3243 3.6571" Properties=species:S:1:pos:R:3 comment="Tb2DyAl3CuSn2, relaxed, DFT PBE" sg="Amm2 (38)" e_tot_ry_per_atom=-0.34157 pbc="T T T"
Tb 0.0000 -3.8737 3.6571
Tb 0.0000 3.8737 3.6571
Dy 0.0000 0.0000 4.2498
Al 2.1468 -1.4074 2.2332
Al 2.1468 1.4074 2.2332
Al 2.1468 0.0000 7.1090
Cu 0.0000 0.0000 1.4285
Sn 2.1468 -2.1013 5.0740
Sn 2.1468 2.1013 5.0740



# 4
24
Lattice="9.9704 0.0000 0.0000 0.0000 3.7506 0.0000 0.0000 0.0000 12.8527" Properties=species:S:1:pos:R:3 comment="Lu2AgS3, relaxed, DFT PBE" relative_energy_ev_per_atom=0.047 sg="Pnma (62)" e_tot_ry_per_atom=-0.39538 pbc="T T T"
Lu 0.2286 0.9377 3.1698
Lu 2.1728 2.8130 6.7516
Lu 2.8124 0.9377 0.3252
Lu 4.7566 2.8130 9.5962
Lu 5.2138 0.9377 3.2566
Lu 7.1580 2.8130 12.5275
Lu 7.7976 0.9377 6.1011
Lu 9.7418 2.8130 9.6829
Ag 2.2690 0.9377 9.4910
Ag 2.7162 2.8130 3.0646
Ag 7.2542 0.9377 9.7881
Ag 7.7014 2.8130 3.3617
S 0.3796 0.9377 7.7731
S 0.9281 2.8130 1.3432
S 2.3552 2.8130 11.2023
S 2.6300 0.9377 4.7760
S 4.0571 0.9377 7.7695
S 4.6056 2.8130 1.3468
S 5.3648 0.9377 11.5059
S 5.9133 2.8130 5.0832
S 7.3404 2.8130 8.0767
S 7.6152 0.9377 1.6504
S 9.0423 0.9377 11.5095
S 9.5908 2.8130 5.0796

~~~~~

First-principles (PBEsol) data for a geometry-optimized CeCd structure, as listed in the Alexandria database.

a = 3.9847 Å, b = 3.9847 Å, c = 3.2690 Å
α = 90.00°, β = 90.00°, γ = 90.00°
Element x y z (fractional)
Ce1 0.0000 0.0000 0.0000
Cd1 0.5000 0.5000 0.5000

SG = P4/mmm
crystal system = tetragonal
formation enthalpy at 0 K = -0.0412 eV per atom



First-principles (PBEsol) data for a geometry-optimized MgZrHgTe2 structure, as listed in the Alexandria database.

a = 5.4107 Å, b = 5.4107 Å, c = 4.9007 Å
α = 90.00°, β = 90.00°, γ = 90.00°
Element x y z (fractional)
Mg1 0.0000 0.0000 0.0000
Zr1 0.5000 0.5000 0.5000
Hg1 0.0000 0.0000 0.5000
Te1 0.0000 0.5000 0.0000
Te2 0.5000 0.0000 0.0000

SG = P4/mmm
formation energy from raw total energies = 1.7 eV/f.u.
crystal system = tetragonal



First-principles (PBEsol) data for a geometry-optimized TaCrIn2S structure, as listed in the Alexandria database.

a = 5.0382 Å, b = 5.0382 Å, c = 4.0586 Å
α = 90.00°, β = 90.00°, γ = 90.00°
Element x y z (fractional)
Ta1 0.0000 0.0000 0.0000
Cr1 0.5000 0.5000 0.0000
In1 0.0000 0.5000 0.5000
In2 0.5000 0.0000 0.5000
S1 0.5000 0.5000 0.5000

SG = P4/mmm
formation energy from raw total energies = 4.5 eV/f.u.
crystal system = tetragonal



First-principles (PBEsol) data for a geometry-optimized YCu4Pt structure, as listed in the Alexandria database.

a = 4.9089 Å, b = 4.9089 Å, c = 4.9089 Å
α = 60.00°, β = 60.00°, γ = 60.00°
Element x y z (fractional)
Y1 0.0000 0.0000 0.0000
Cu1 0.3759 0.3759 0.3759
Cu2 0.3759 0.3759 0.8724
Cu3 0.3759 0.8724 0.3759
Cu4 0.8724 0.3759 0.3759
Pt1 0.7500 0.7500 0.7500

SG = F-43m
crystal system = cubic
formation enthalpy at 0 K = -0.3975 eV per atom

~~~~~